• Wanted:
The reader should say how many lines of the notes underneath hold the word "Ga", as a bare number.

• Listing:
____________
No. 1
Mn3B4W: computed powder XRD pattern (Cu Kα, 1.54184 Å), based on a crystal structure in the Materials Project, relaxed with PBE.
Neutral-atom scattering factors, no anomalous dispersion.

Main lines, low angle first (2θ from 15° to 90°):
index  2theta  I/Imax
0 0 1  15.7  91.7
1 0 0  20.8  51.1
1 0 -1  26.0  59.7
0 0 2  31.8  50.5
1 1 0  36.5  100.0
1 1 -1  39.9  61.3
1 1 1  40.1  88.0
0 1 2  44.0  91.5
2 0 -1  45.2  47.3
2 0 1  45.5  47.2

Atomic structure:
Unit cell a=4.278 b=3.011 c=5.629 alpha=90.00 beta=90.60 gamma=90.00
Space group Pm (No. 6)
One atom of each set of equivalent atoms:
Mn (0.000, 0.000, 0.000) (multiplicity 1)
Mn (0.243, 0.500, 0.654) (multiplicity 1)
Mn (0.497, 0.500, 0.148) (multiplicity 1)
B (0.026, 0.500, 0.282) (multiplicity 1)
B (0.241, 0.000, 0.352) (multiplicity 1)
B (0.505, 0.000, 0.868) (multiplicity 1)
B (0.726, 0.500, 0.807) (multiplicity 1)
W (0.747, 0.000, 0.502) (multiplicity 1)

No. 2
TbMgSe3: computed powder XRD pattern (Cu Kα, 1.54184 Å), based on a crystal structure in the Materials Project, relaxed with PBE.
Neutral-atom scattering factors, no anomalous dispersion.

Main lines, low angle first (2θ from 15° to 90°):
index  2theta  I/Imax
1 1 -1  16.1  33.5
1 3 0  25.0  45.0
1 3 -1  25.7  40.6
1 1 -2  26.8  47.0
2 2 -1  27.8  58.2
0 0 2  29.2  87.2
1 3 1  32.0  40.2
0 6 0  42.9  40.8
3 3 -2  43.5  100.0
0 6 2  52.8  33.9

Atomic structure:
Unit cell a=7.497 b=12.648 c=6.884 alpha=90.00 beta=117.38 gamma=90.00
Space group C2/m (No. 12)
One atom of each set of equivalent atoms:
Tb (0.196, 0.000, 0.314) (multiplicity 4)
Mg (0.000, 0.335, 0.000) (multiplicity 4)
Se (0.033, 0.500, 0.254) (multiplicity 4)
Se (0.054, 0.171, 0.784) (multiplicity 8)

No. 3
Hf2S: computed powder XRD pattern (Cu Kα, 1.54184 Å), based on a crystal structure in the Materials Project, relaxed with PBE.
Neutral-atom scattering factors, no anomalous dispersion.

Main lines, low angle first (2θ from 15° to 90°):
index  2theta  I/Imax
0 0 4  30.3  23.8
1 0 0  30.5  22.1
1 0 1  31.4  65.6
1 0 3  38.3  100.0
1 0 4  43.5  25.7
1 1 0  54.2  32.5
1 1 4  63.4  21.3
1 0 7  63.7  23.2
2 0 3  68.3  18.6
1 1 6  73.9  17.2

Atomic structure:
Unit cell a=3.3867 b=3.3867 c=11.7874 alpha=90.00 beta=90.00 gamma=120.00
Space group P6_3/mmc (No. 194)
One atom of each set of equivalent atoms:
Hf (0.3333, 0.6667, 0.1005) (multiplicity 4)
S (0.0000, 0.0000, 0.2500) (multiplicity 2)

No. 4
Y4Ga21Ni10: computed powder XRD pattern (Cu Kα, 1.54184 Å), based on a crystal structure in the Materials Project, relaxed with PBE.
Neutral-atom scattering factors, no anomalous dispersion.

Main lines, low angle first (2θ from 15° to 90°):
index  2theta  I/Imax
5 1 -5  37.0  48.1
5 1 1  37.5  74.6
7 1 -2  37.9  45.0
1 1 4  38.1  67.2
7 1 -4  38.2  43.3
8 0 0  41.7  28.0
0 2 0  44.4  100.0
1 1 -6  45.4  51.3
5 1 -7  46.7  37.0
9 1 -6  47.9  26.9

Atomic structure:
Unit cell a=20.872 b=4.079 c=15.507 alpha=90.00 beta=123.76 gamma=90.00
Space group C2/m (No. 12)
One atom of each set of equivalent atoms:
Y (0.120, 0.000, 0.334) (multiplicity 4)
Y (0.230, 0.000, 0.825) (multiplicity 4)
Ga (0.000, 0.500, 0.500) (multiplicity 2)
Ga (0.006, 0.000, 0.090) (multiplicity 4)
Ga (0.039, 0.500, 0.368) (multiplicity 4)
Ga (0.065, 0.000, 0.796) (multiplicity 4)
Ga (0.102, 0.500, 0.997) (multiplicity 4)
Ga (0.114, 0.500, 0.703) (multiplicity 4)
Ga (0.116, 0.000, 0.552) (multiplicity 4)
Ga (0.127, 0.500, 0.196) (multiplicity 4)
Ga (0.202, 0.000, 0.003) (multiplicity 4)
Ga (0.203, 0.500, 0.503) (multiplicity 4)
Ga (0.247, 0.000, 0.294) (multiplicity 4)
Ni (0.001, 0.500, 0.184) (multiplicity 4)
Ni (0.024, 0.000, 0.607) (multiplicity 4)
Ni (0.133, 0.000, 0.105) (multiplicity 4)
Ni (0.153, 0.500, 0.887) (multiplicity 4)
Ni (0.249, 0.000, 0.614) (multiplicity 4)

No. 5
Dy7Te2Ir2: computed powder XRD pattern (Cu Kα, 1.54184 Å), based on a crystal structure in the Materials Project, relaxed with PBE.
Neutral-atom scattering factors, no anomalous dispersion.
____________

• Result:
11